Mum on the run? Here are five hacks to steal back some extra time

Take the time to make more time.

Mum on the run? Here are five hacks to steal back some extra time

Being a Mum is rewarding, tiring, exciting and HECTIC. Between meal time, bath time, play time and for-the-love-of-god-please-don’t-stick-that-up-your-nose time, it’s rare you’re left with a whole load of you time. With that in mind, we hit up a few Mums on their top-tips for reclaiming some hours in the day.

Gamify everything

The image of the perfect family dinner is an easy one to envisage: your children are sitting quietly, patiently awaiting the delicious feast you’ve just effortlessly created – they’re ready to neatly devour your wares, politely thanking you with words, hugs and compliments of encouragement after they’re finished. Snap to reality: you’re wrestling your youngest (who is insistent on bringing their pet hamster to the table) into the chair, meanwhile your other little darling has decided that this exact moment is the optimum time to beat their already impressive ‘scream-as-loud-as-they-can’ personal best. But it doesn’t have to be this way.  Gamifying dinner (and anything around the house) is a great way to refocus your kids’ energy and save you a shed load of time in the process. Try a sticker board of dinner-steps, including anything from ‘washing your hands’ and ‘sitting at the table’, to ‘finishing your drink’ and ‘cleaning your plate’ – including a weekly leaderboard of stars for good behaviour. This can also work with bedtime and morning routines; an old concept, sure – but it works!

gamify dinner time

Photo: A Mother Far From Home.

Meal prep like a pro

Creative cooking is a luxury for people with time on their hands. That’s not an opinion, it’s a fact. Trying to feed yourself and your kids a balanced, interesting and healthy diet is doable, but inspiration can be hard to find when you’re up against it. A good tip to get round this is planning, prepping and recording. Sounds simple, but try to build up an arsenal of easy-weeknight recipes you know you can ace in under 30 mins, collate these together and then come back to them time and time again – saving experimenting with a newer dish for the weekend. Batch cooking and freezing get a special shout out here, and if you’ve got one, NEVER underestimate the ease of a slow cooker – those godsends are a lifeline to make the most of.

weeknight dinner hacks

Share the load (…while socialising)

The unique experience of being a parent often means you have to make changes to your social life, swapping out certain activities with a whole range of fun, but different social ventures. But why not socialise while looking after your kids? Not only is it a great use of your time, it’s also an awesome way to make like-minded friends in the same boat. Mush is a great app for connecting with local Mums on the same wavelength, for meet-ups, playdates…and even the odd gin and tonic if the day calls for it. (check out more info on them here).

Mush - sign up

Create a master (shopping) list

Shopping for yourself is a treat, but shopping for a household is a nightmare if you’re not organised. Whether you’re using an old school chalkboard, a bit of paper on the fridge, or just shouting at Alexa to add to your online shopping list – keep a tabs on things you need throughout the week, so that when you get to actually doing the weekly shop – you’re just topping up with extras. Basically, each time you run out of something or it pops into your head, add to the list. This tried and tested method is a great way to save time and to eliminate unnecessary food waste too.

Shopping List

Call in the calvary

Whether you’re balancing a full or part time job, or you’re a full time parent – your responsibilities outside of childcare don’t magically disappear after having children. And when it comes to housework, DIY and gardening – those messy little tykes can contribute to an ever-growing list pretty easily. Airtasker is a great tool for re-prioritising your time; whether it’s used to find regular help, or one-off Taskers to assist with bigger or more time-consuming jobs. You’ll find anything from cleaners, gardeners and handymen, to event magicians, language tutors and gift wrappers on the platform. Steal some hours back by strategically outsourcing your everyday tasks, and spend the extra time however the hell you want. (here are a few examples of how busy parents are already using us).

Cleaning Help

Need some inspiration? Check out this list of current tasks to see what types of jobs people are getting help with.


New parent’s guide to cleaning

We’ve got a guide to cover some essential ‘new parent cleaning’ tips!

New parent’s guide to cleaning

If you’re coming into parenthood or have just recently become a parent, you’re already aware of what an incredible experience you’re in for. You’ll settle into your new baby cleaning routine soon enough, but in the meantime, we’ve got a guide to cover some essential ‘new parent cleaning’ tips. For an extra hand, you can find plenty of affordable cleaning services in London.

Deodoriser for nappy bins

As cute as babies are,  they have a special way of making a stink. So how do you deal with the smell of spent nappies and wipes? Keep baby changing areas smelling nice and fresh by cleaning the nappy bucket with a homemade deodoriser. There are plenty of recipes for this that use everyday household products like baking soda.

# Here the page breaks off for materials data
<<<
Starting from a structure optimized by DFT (PBE+U), the PXRD pattern of Sr2CaMoO6 was computed for λ = 1.5418 Å (Cu Kα).
Peak positions follow from Bragg's law for the DFT cell and can differ from measured ones.

Most intense lines, 10 to 80 degrees two-theta, low angle first:
index  2θ/deg  Rel. int.
0 1 1  18.35  11
0 2 0  30.01  23
1 1 -3  30.47  100
2 0 -2  30.79  24
2 2 -2  43.53  28
0 0 4  43.75  16
1 3 -3  53.58  15
0 2 4  53.96  10
3 1 -1  54.50  15
3 1 -5  54.61  12

Atomic structure:
abc: 5.8088 5.9555 10.0977
angles: 90.00 124.94 90.00
Fractional positions:
Sr1 0.2413 0.0457 0.2518
Sr2 0.2413 0.4543 0.7518
Sr3 0.7587 0.5457 0.2482
Sr4 0.7587 0.9543 0.7482
Ca1 0.5000 0.0000 0.0000
Ca2 0.5000 0.5000 0.5000
Mo1 0.0000 0.0000 0.5000
Mo2 0.0000 0.5000 0.0000
O1 0.1322 0.2309 0.9498
O2 0.1322 0.2691 0.4498
O3 0.2296 0.6866 0.9589
O4 0.2296 0.8134 0.4589
O5 0.3130 0.0301 0.7272
O6 0.3130 0.4699 0.2272
O7 0.6870 0.5301 0.7728
O8 0.6870 0.9699 0.2728
O9 0.7704 0.1866 0.5411
O10 0.7704 0.3134 0.0411
O11 0.8678 0.7309 0.5502
O12 0.8678 0.7691 0.0502

---

Starting from a structure optimized by DFT (PBE+U), the PXRD pattern of LiMn3Al2H6O12 was computed for λ = 1.5418 Å (Cu Kα).
Peak positions follow from Bragg's law for the DFT cell and can differ from measured ones.

Most intense lines, 10 to 80 degrees two-theta, low angle first:
index  2θ/deg  Rel. int.
0 0 2  18.67  100
2 -2 1  36.75  20
0 3 0  37.08  20
2 1 -3  37.43  18
2 -2 3  47.20  17
0 3 2  47.54  16
2 1 -5  47.91  17
-2 2 5  57.66  9
-4 1 2  62.40  6
0 3 -8  76.32  9

Atomic structure:
abc: 5.9541 7.9048 10.5024
angles: 105.29 105.78 101.92
Fractional positions:
Li1 0.0000 0.0000 0.0000
Li2 0.3172 0.3115 0.0017
Mn1 0.0801 0.3252 0.5057
Mn2 0.2373 0.9868 0.4970
Mn3 0.4094 0.6561 0.5016
Mn4 0.5762 0.3248 0.5035
Mn5 0.7378 0.9878 0.4984
Mn6 0.9075 0.6532 0.4975
Al1 0.1591 0.6557 0.0009
Al2 0.4886 0.9937 0.9981
Al3 0.6583 0.6558 0.0011
Al4 0.8282 0.3174 0.0032
H1 0.0133 0.6391 0.2140
H2 0.1528 0.3139 0.2107
H3 0.1630 0.9979 0.7906
H4 0.3090 0.6673 0.7874
H5 0.3556 0.9598 0.2055
H6 0.4980 0.3502 0.8014
H7 0.5031 0.6493 0.2056
H8 0.6307 0.0144 0.7907
H9 0.6888 0.2944 0.2110
H10 0.8103 0.6642 0.7966
H11 0.8180 0.9645 0.2005
H12 0.9626 0.3517 0.7963
O1 0.0196 0.9247 0.5952
O2 0.0259 0.3991 0.9003
O3 0.0951 0.2749 0.1080
O4 0.1245 0.7019 0.3935
O5 0.2160 0.5852 0.6120
O6 0.2215 0.0362 0.8933
O7 0.2914 0.9125 0.1017
O8 0.2933 0.3880 0.4015
O9 0.3645 0.2699 0.6071
O10 0.3721 0.7133 0.8934
O11 0.4448 0.6061 0.1012
O12 0.4590 0.0579 0.4003
O13 0.5361 0.9163 0.6051
O14 0.5652 0.3990 0.9054
O15 0.6001 0.7297 0.3910
O16 0.6266 0.2479 0.1071
O17 0.6901 0.0640 0.8947
O18 0.6917 0.5908 0.6023
O19 0.7523 0.9125 0.0965
O20 0.7943 0.3829 0.4012
O21 0.8591 0.2583 0.6058
O22 0.8724 0.7049 0.9005
O23 0.9440 0.0637 0.3955
>>>

How to sterilise a bottle

It’s widely recommended that you sterilise bottles before and after use, to ensure your baby is protected from unnecessary, harmful bacteria growth. One of the easiest and most cost-effective ways to sterilise items is to boil them.

To do this:

  • Disassemble and clean the items as you usually would.
  • Place them in a large saucepan with enough water to cover.
  • Bring to a rapid boil for at least 5 minutes.
  • Allow everything to cool, then carefully remove the bottle bits and drain. them dry on a sterile bottle drying rack or surface.
  • Store them safely for their next use.

You can use the same method for other items that’ll end up in your little one’s mouth, such as dummies.


cleaning baby bottles
Source: Lifefactory via Amazon

Cleaning cloth nappies

If you’ve chosen to go down the cloth nappy path, there are things you can do to ensure your baby has the cleanest, comfiest nappies around.

  1. First, before putting anything in the washing machine, you should remove any solids (flush it or bin it).
  2. Choose your detergent – you can help prevent rashes by using a sensitive skin detergent or by making your own using non-toxic, eco-friendly ingredients.
  3. Most parents swear by a hot wash, or two if needed.
  4. Hang on the line to dry, or pop in the clothes dryer if you have one to ensure they’re super sanitised and soft.

Stripping nappies

‘Stripping’ is a common term used to describe a method to get persistent stains out (urine, poop and even minerals from water). It involves soaking the offending nappies in a seriously hot tub of water mixed with a detergent appropriate to the material of the nappies. You generally soak the nappies for up to 8 hours or overnight, before draining the liquid and running them on a hot wash cycle.

cleaning cloth nappies
Source: Wikimedia

The easiest way to clean a high chair

High chairs + baby + meal time = a complete mess! You will find yourself constantly having to clean the high chair, the area around it, and potentially the room it sits in. Having an effective cleaning approach is a necessity. Multi-tasking while cleaning is a parenting win!

  1. Once your little one is done eating, use a warm, damp cloth to wipe as much gunk off the tray, chair, and everywhere that you can.
  2. Spray the tray, handles, harness, straps and seat with a cleaning product of your choice (commercial or homemade).
  3. Leave the chair for a minute or two
  4. Once the mess has softened a little, use a damp cloth with a splash of white vinegar to wipe away the mess and any residual product. It should come off easily (if not, repeat).

cleaning a highchair
Source: Pinterest

If you’d like some help cleaning when your baby arrives, find an Airtasker offering cleaning services in London.